

Thursday, June 21, 2012

Eli is 3 weeks old.

********
{"formula": "C3H4N3S", "method": "ωB97M-V/def2-TZVPD", "lumo_ev": [-7.945, -7.945], "homo_ev": [-13.53, -13.53], "multiplicity": 1, "charge": 1, "relative_energy_kj_mol": 201.1, "orbital_gap_ev": [5.58, 5.58], "elements": ["C", "C", "C", "N", "N", "N", "S", "H", "H", "H", "H"], "xyz": [[0.117712, 1.019052, -0.078487], [-0.329184, -0.309315, -0.015315], [2.020860, -0.211122, 0.009007], [1.522419, 1.006670, 0.074216], [0.731905, -1.092375, 0.055399], [-1.640572, -0.728370, -0.132043], [-2.933692, 0.282998, -0.023267], [-0.459333, 1.977590, -0.293357], [1.904026, 1.922444, 0.142290], [0.739671, -2.092542, 0.317739], [-1.673809, -1.775028, -0.056180]], "atomic_forces_ev_per_a": [[-0.2, 1.4, 0.1], [-1.1, 2.0, -0.6], [-0.7, -3.8, 1.0], [-5.3, 0.0, -0.9], [4.0, 0.5, 0.0], [0.2, 0.9, 1.3], [1.1, -1.7, -0.4], [0.9, -1.6, 0.5], [1.5, 0.2, -0.2], [0.4, 1.1, -0.5], [-0.8, 1.0, -0.5]]}


Molecular formula: H7O4
Method: DFT, ωB97M-V/def2-TZVPD

Calculated values
E_LUMO = 4.7 eV
Maximum force = 0.9 eV/A
HOMO energy = -4.74 eV
Kohn-Sham gap = 9.4 eV
E = -305.1931 Eh
ΔE to the lowest compared entry with this formula, charge and spin = 0.471 eV

Structure (ORCA input):
```
! wB97M-V def2-TZVPD RIJCOSX def2/J DEFGRID3
* xyz -1 1
O -0.368 0.692 0.524
H -0.818 -0.086 0.829
O 0.575 1.621 3.038
H 1.014 1.544 2.184
H -0.329 1.489 2.760
O -0.483 -2.415 -1.863
H -0.269 -1.459 -2.063
H -1.099 -2.281 -1.143
O 0.373 0.102 -1.716
H 0.150 0.415 -0.594
H 1.254 0.379 -1.957
*
```
********
(The data records stop here)

It seems like forever since I have done an Eli update, and in a sense, it has been a really long time, almost his whole life. That last time I said much about him was his birth.

We had a midwife appt this week.

Eli has grown a whole pound and an ounce. His weight is in the 50th percentile and his head has grown a half an inch which puts him in the 85th percentile for head size. my kiddos and their cute large heads :) I am not sure if we forgot to measure his height or if I am so sleep deprived that I don't remember it, but I don't know the stats on that. I guess we will have to wait til next appt.

Eli is also starting to develop bits of his personality. He is actually alert for some of the day. He also has found his lungs. That might be one of the biggest understatements of the year. He loves to be held! LOVES. This means that if he is not being held he most likely is practicing his angry cry, including in the middle of the night. This is new territory for me. Shiloh didn't develop an angry cry until way later in life. I know I was spoiled with him.

He eats a lot. He has curly hair when its wet. He is learning to tolerate and maybe even like bath time, which is great. He rolls from side to side while getting his diaper changed. He is a "squeaky" eater/sleeper, and by squeaky I mean that he sounds like a teradactyl. It is quite comical and also annoying during the middle of the night. Don't let the pictures fool you, we are getting very little sleep around here. Pictures don't squirm or have sound.

We do love this little guy . He is pretty good as long as we hold him, and he is just so darn cute. We also can't wait for the baby fog to lift so we can get a little more sleep, but that comes with time.
There's the update!


  1. If I were one of those people who eats babies (I'm not....) yours would have me salivating. Look at all that grown up boy hair on his head? He's beautiful (even if he's squeaky). He's lucky to have you love him.

  2. Wow! What a doll! I could just nibble those chubby cheeks on the first picture! I don't know if it's an illusion because of the dark hair, but I can see more of Kenny in him. Time will tell! If his desire to be held is shorting you on sleep....holding I can do; diapers I can do! Can't wait to see and hear Mr. Squeaky next week!

  3. What a cutie! He does look more like Kenny I think because of the dark hair. Sorry about the sleep deprivation. Sounds like one of my kids!

  4. I love that little co sleeper "bed" thingy. Ahh squeaky babies...even the sound of my kids breathing would keep me up so I never let them sleep in my room for more than a night. Not totally true because Camille hated to sleep so I did whatever I could to get her to sleep which often involved her sleeping on my chest while I breathed really heavy to convince her I was asleep too.

    I think that he looks a bit more like the Williams side than Shiloh, yet I do think Shiloah and Spencer look quite a bit alike too. He is beautiful! Hope that now that he is on the up mend that he will learn to love to sleep! Take as many naps as you can while Grannie is there.
